May 02

SEO怎么做?九个步骤完成网站SEO, 关键在于坚持!

  • 第一:网站诊断: 首先要对优化的网站进行诊断,写出一个详细的网站诊断书。参考一言堂网址诊断栏目。第二:关键词选择 在进行网站优化前,先要锁定自己网站的关键词。选择一个合适的关键词对于网站优化有非常重要的作用。 具体操作步骤如下: 1、列出基础词2、使用关键词分析工具找出更多的关键词和热门关键词。 百度指数 英文关键词工具 提示:试着用剩余的关键字在搜索引擎中进行搜索,不要把焦点放在最流行的关键字上。有时候,次关键字排名起来还是比较容易的。因为最流行的关键字会存在着更多的竞争对手,而次关键字反之。在选择关键字时的技巧是找出关键字需求与关键字竞争的平衡点,即所选关键字竞争不是很激烈。简而言之就是长尾关键词的合理选用。例如www.yyt66.cn这个网站如果做“seo”是很难做到首页的,如果用“一言堂seo”就不是很难。第三:网站构架完善优化网站的超链接构架,主要需要做好以下几方面:
  • 1、URL优化:把网站的url优化成权重较高的url
  • 2、相关链接:做好站内各类页面之间的相关链接,此条非常重要,这方面做好,可以先利用网站的内部链接,为重要的关键词页面建立众多反向链接。这里要特别强调一下:反向链接是网页和网页之间的,不是网站和网站之间的。所以网站内部页面之间相互的链接,也是相互的反向链接,对排名也是有帮助的。第四:网站内容策略
  • 1、丰富网站的内容:把网站内容搞丰富起来,这是非常重要的,网站内容越丰富,说明你的网站越专业,用户喜欢,搜索引擎也喜欢。
  • 2、增加部分原创内容:因为采集系统促使制作垃圾站变成了生产垃圾站,所以完全没有原创内容的网站,尽管内容丰富,搜索引擎也不会很喜欢。所以一个网站,尽量要有一部分原创内容。第五:网页细节的优化和完善
  • 1、title和meta标签的优化:按照SEO的标准,把网站的所有title和meta标签进行合理的优化和完善,以达到合理的状态。切记:千万不要盲目的在title中堆积关键词,这是大部分人经常翻的错误。一个真正SEO的非常合理的网站,是一个看不出有刻意优化痕迹的网站。
  • 2、网页排版的规划化:主要是合理的使用H1、strong、alt等标签,在网页中合理的突出核心关键词。切记:千万不要把网页中所有的图片都加上alt注释,只需要将最重要的图片,不如产品图片,人物图片加上合理的说明就OK。第六:网站地图制作和提交这个步骤在文章如何快速被搜索引擎收录已经详细介绍了。第七:制订增加反向链接计划以前的工作都做好了,最重要的就是要制订一个合理的增加反向链接计划,然后选择几种合理的增加反向链接手段,然后按照计划需序渐进的去做,获得好排名就只是时间问题了。切记:不可短时间内迅速增加非常多的高质量的反向链接,比如短短两三天,增加几百个PR值都是4以上的链接,这样的话,你就危险了。容易被gogole当作购买链接,然后被处罚。第八:经常更新网站的内容,多加入一些比较有质量的内容。最好多弄一些原创的东西。

    第九:分析网站的流量的来源, (一般是使用统计系统),通过数据分析自己网站,及时进行有效的改善。



May 02



域名空间的选择,首先域名一定是比较容易记忆,这样可以减少用户的记忆成本,建议使用拼音全拼或者英文单词或者有某种含义的数字,不要使用首字母简写,这样用户不便于理解。比如本博客: ,直接是拼音形式的,这样用户便于记忆,在访问的时候可以直接输入域名进行访问。








  1. 软产品是一种虚拟的产品,它可以是一种服务,或者提供给用户的一条信息等等。比如,我们的人才网就属于软产品,我们给用户提供人才的需求。
  2. 硬产品,是一种真真实实存在的东西,比如淘宝网,它提供的就是一种真实存在的产品。











2.高权重链接(包括友情链接) 可以用站长工具来查看友情链接的


4.分析一般性链接(例如:个性签名)注:domain 查询的包含有效和无效的链接。






























May 01

Inserted here: calculated molecules:
/*
No. 1
{"formula": "C4H8O2PTi", "method": "the ωB97M-V functional and the def2-TZVPD basis", "total_charge": 1, "homo_energy_ha": -0.47951, "elements": ["C", "C", "C", "C", "O", "P", "O", "H", "H", "H", "H", "H", "H", "H", "H", "Ti"], "positions_angstrom": [[-0.95248, -1.74526, -1.41923], [-0.76282, -1.33643, -0.29265], [-0.49446, -0.70965, 0.99043], [1.03041, -0.70871, 1.07974], [1.34284, 0.03452, -0.05923], [0.33702, 1.48145, -0.13025], [-0.85590, 0.64678, 0.80563], [-0.77724, -2.16795, -2.37453], [-1.04197, -1.11802, 1.81682], [1.32889, -1.74329, 0.99344], [1.43299, -0.33764, 2.00852], [1.27802, 2.02681, -1.04624], [1.02665, 2.02408, 0.98363], [-0.52345, 2.60827, -0.22644], [-0.44792, 0.95319, -1.53212], [-1.92058, 0.09185, -1.59752]], "atomic_forces_ev_per_a": [[-0.2, -0.7, -2.3], [-1.5, 0.6, 0.7], [0.6, 0.6, 0.4], [-0.6, -0.8, -0.4], [-0.4, 0.8, -0.3], [3.3, 1.6, 2.2], [-1.2, 0.1, -1.1], [0.3, -0.9, -0.2], [-0.2, -0.3, 0.4], [0.6, -0.3, -0.2], [0.0, 0.6, 0.4], [-0.4, -0.5, -0.4], [-0.2, 0.0, 0.0], [-0.6, -0.4, -0.2], [0.0, -0.1, -0.8], [0.5, -0.3, 2.0]], "nbo_charge": [-0.4209, 0.0662, -0.0297, -0.0768, -0.7691, 1.0375, -0.7716, 0.2730, 0.2543, 0.2025, 0.2122, -0.0241, -0.0427, -0.0757, -0.2816, 1.4465]}


No. 2
*/
So much for the calculated molecules:

Immortality – Become Immortal

Immortality is the ability to live forever, or eternal life.[2] Biological forms have inherent limitations which may or may not be able to be overcome through medical interventions or engineering. Natural selection has developed potential biological immortality in at least one species, the jellyfish Turritopsis nutricula.

Certain scientists, futurists, and philosophers, have theorized about the immortality of the human body, and advocate that human immortality is achievable in the first few decades of the 21st century, while other advocates believe that life extension is a more achievable goal in the short term, with immortality awaiting further research breakthroughs into an indefinite future. Aubrey de Grey, a researcher who has developed a series of biomedical rejuvenation strategies to reverse human aging (called SENS), believes that his proposed plan for ending aging may be implementable in two or three decades. The absence of aging would provide humans with biological immortality, but not invulnerability to death by physical trauma. What form an unending human life would take, or whether an immaterial soul exists and possesses immortality, has been a major point of focus of religion, as well as the subject of speculation, fantasy, and debate.

In religious contexts, immortality is often stated to be among the promises by God (or other deities) to human beings who show goodness or else follow divine law (cf. resurrection).

Dec 07

A high maintenance girl

If you describe something or somebody as high-maintenance, you mean that they require a lot of attention, time, money, or effort.

E.g, I cannot stand her because she is such a high maintenance woman.

Dec 07

If you like, we can get married in an Irish way!

When I was having a chit-chat with my colleague, she asked me all of a sudden, “How did your husband propose to you at that time? Was it romantic?” I was numbed by her words for a while, and then burst into laughter, “My husband is a bit rigid, so do you think his proposal would be romantic?” Though I said in that way, I felt very sweet in heart when thinking of my husband’s proposing to me. To be honest, his proposal was actually by no means romantic without flowers, diamond ring and any other surprise. It was even could not be called “marriage proposal”.

At that time, he gave me a book about Ireland, which, now I am thinking was a long-established plan. At the weekend when I finished the book, he came to me and asked me whether I had finished the book. Seeing me nod my head, he felt very pleased and said to me in a low but happy voice, “If you like, we can get married in an Irish way!”

At that time, my heart was totally convinced by the romantic and sacred law of marriage in Ireland. The book told me that Ireland believes in Catholicism and prohibited divorce. Therefore, when a couple get married, they are supposed to choose the time of their marriage which ranges from 1 year to 100 years. The most impressive of this law of marriage lies in the inverse relationship between the time of marriage and the fees to be charged. If you choose 1 year for your marriage, you shall pay as much as 2, 000 sterling pounds plus receiving a dictionary-thick reference of rights and responsibilities. But if you choose 100 years, then you are very lucky and only need to pay 0.5 pound for the fees and receive a short but heart-touching note in all women’s eyes: “I have no idea the clear rights and responsibilities for my left hand to my right hand, my right leg to my left leg, my left eye to my right eye and my right sphere of brain to the left. Actually, they are an integrated whole and live by each other and cheer for each other. Finally, I would like this pink note to convey my best wishes to your one-hundred-year marriage! May you live happily all your lives!”

I still remember at that time that I said to my husband, “Ok, so sir, please choose the time you expect our marriage to last!” He said happily, “I even do not bother to think about it and would definitely choose 100 years because it is highly money-saving!” Later, I married him, a man who would like to stay with me for 100 years. Although we are not bound by the law of marriage in Ireland, we have cherished our vow to discipline ourselves all the time. We have married like Irish people and look on our marriage as a life-long commitment and spare no effort to nourish it hand in hand as we are gradually aging together.

I also sincerely hope that every pair of lovers in the world can get married like Irish people and love and protect each other whole-heartedly by committing themselves to a 100-year marriage.

Dec 06

It is a sad story

There are always more money to be made and more beautiful girls to be chased. The question is what is the most important thing in life.

In my line of work, people move from place to place for better opportunities. However, very seldom, my colleagues besides the ones from mainland China will leave their families behind indefinitely.

Dec 06

The perfect girl?

——– The Great Gatsby

** Out-of-this-world intelligent and passionate
** Ambitious and extremely independent with eclectic and diverse interests
** Not needy, high-maintenance, jealous, or requiring constant attention
** Very adventurous – loves to backpack around China, for example
** 5’7″ – 6’1″
** Very thin but not because she’s starving herself or has food issues – I want someone who will be thin her entire life ** Small breasts (usually come with “very thin”)
** Gorgeous (symmetrical face and features)
** Loves big dogs
** Atheist, agnostic, or not religious
** Happy!
** Healthy!
** Nice!
** Does not want kids in the next five years
** Is in her twenties
** Plays tennis very well, helicopter skis, and is dying to learn how to kite-board
** Speaks French perfectly
** Plays video games (maybe I’m asking for a bit much here :))
Dec 06


I fell in love with you watching Casablanca
Back row of the drive in show in the flickering light
Popcorn and cokes beneath the stars became champagne and caviar
Making love on a long hot summers night

I thought you fell in love with me watching Casablance
Holding hands ‘neath the paddle fans in Rick’s Candle lit cafe
Hiding in the shadows from the spies. Moroccan moonlight in your eyes
Making magic at the movies in my old chevrolet

Oh! A kiss is still a kiss in Casablanca
But a kiss is not a kiss without your sigh
Please come back to me in Casablanca
I love you more and more each day as time goes by

I guess there’re many broken hearts in Casablanca
[- From: -]
You know I’ve never really been there. so, I don’t know
I guess our love story will never be seen on the big wide silver screen
But it hurt just as bad when I had to watch you go

Oh! A kiss is still a kiss in Casablanca
But a kiss is not a kiss without your sigh
Please come back to me in Casablanca
I love you more and more each day as time goes by
Oh! A kiss is still a kiss in Casablanca
But a kiss is not a kiss without your sigh

Please come back to me in Casablanca
I love you more and more each day as time goes by
I love you more and more each day as time goes by